Digni Financial Services Aims To Build Financial Services That Are Customised To The African Culture. Digni Financial Services was founded in March 2014 by Cornet Thabiso Mamabolo and Johnny Modiba. For Cornet and Johnny, this was the time for the universe to breathe life into a vision they had been nurturing as sales representatives. Having been involved in sales, data management, training, consulting, intermediary and advisory services, they have seen a need to build a community in which financial service products are customised in accordance with the African way of defining and doing things. Digni Financial Services is a dream realisable to protect individuals, and businesses against industry conventional marginalisation and abuse, especially from excessive and unaffordable premiums and services. Their combined expertise resulted in the establishment of a financial institution to arrange customised underwriting for group schemes, direct marketing for individuals and business support to its stakeholders.
+++
[1]
# NdSmGa4
Calculated XRD peak list, a wavelength of 1.5418 Å. Input: a PBE-relaxed structure.
No peak broadening, texture or thermal motion is included.

Structural model:
```
6
Lattice="-2.128 2.128 7.431 2.128 -2.128 7.431 2.128 2.128 -7.431" Properties=species:S:1:pos:R:3 pbc="T T T"
Nd 0.000 0.000 0.000
Sm 0.000 2.128 3.716
Ga 2.128 0.000 2.487
Ga 2.128 0.000 4.944
Ga 0.000 0.000 6.192
Ga 0.000 0.000 8.671
```

Largest 10 diffraction maxima, in order of rising 2θ, 2θ from 10° to 90°:
two_theta, I_rel
27.63, 32
32.09, 100
36.89, 53
42.49, 41
47.88, 25
51.44, 12
57.50, 29
61.65, 13
65.91, 19
71.21, 20

[2]
# Nd3SmGa3
Calculated XRD peak list, a wavelength of 1.5418 Å. Input: a PBE-relaxed structure.
No peak broadening, texture or thermal motion is included.

Structural model:
```
14
Lattice="9.509 0.000 0.000 -4.755 8.235 0.000 0.000 0.000 4.832" Properties=species:S:1:pos:R:3 pbc="T T T"
Nd -1.039 2.158 1.208
Nd -2.366 8.056 1.208
Nd 1.350 1.979 3.624
Nd 3.405 6.256 1.208
Nd 7.121 0.179 3.624
Nd 5.793 6.077 3.624
Sm 0.000 5.490 3.624
Sm 4.755 2.745 1.208
Ga -2.317 4.974 1.208
Ga 1.606 3.741 1.208
Ga 4.043 0.480 3.624
Ga 0.712 7.755 1.208
Ga 3.149 4.494 3.624
Ga 7.072 3.261 3.624
```

Largest 10 diffraction maxima, in order of rising 2θ, 2θ from 10° to 90°:
two_theta, I_rel
26.30, 17
28.48, 25
28.68, 26
32.62, 15
34.27, 100
37.21, 26
47.65, 13
50.81, 10
51.97, 15
65.21, 15

[3]
# Nd3Sm3Ga4
Calculated XRD peak list, a wavelength of 1.5418 Å. Input: a PBE-relaxed structure.
No peak broadening, texture or thermal motion is included.

Structural model:
```
10
Lattice="4.501 0.000 0.000 0.000 5.506 5.539 0.000 -5.506 5.539" Properties=species:S:1:pos:R:3 pbc="T T T"
Nd 0.000 0.000 0.000
Nd 2.251 -2.765 6.391
Nd 2.251 2.765 6.391
Sm 0.000 -1.918 3.629
Sm 0.000 1.918 3.629
Sm 0.000 0.000 7.220
Ga 2.251 0.000 2.348
Ga 2.251 0.000 4.934
Ga 2.251 -1.299 9.141
Ga 2.251 1.299 9.141
```

Largest 10 diffraction maxima, in order of rising 2θ, 2θ from 10° to 90°:
two_theta, I_rel
25.47, 21
25.56, 20
30.30, 100
32.39, 87
32.50, 87
36.31, 34
36.45, 33
40.06, 37
55.22, 40
68.02, 26

[4]
# NdSmGa4
Calculated XRD peak list, a wavelength of 1.5418 Å. Input: a PBE-relaxed structure.
No peak broadening, texture or thermal motion is included.

Structural model:
```
6
Lattice="4.266 0.000 0.000 -2.133 3.695 0.000 0.000 0.000 8.527" Properties=species:S:1:pos:R:3 pbc="T T T"
Nd 0.000 0.000 0.000
Sm 0.000 0.000 4.263
Ga 0.000 2.463 2.157
Ga 0.000 2.463 6.370
Ga 2.133 1.232 2.157
Ga 2.133 1.232 6.370
```

Largest 10 diffraction maxima, in order of rising 2θ, 2θ from 10° to 90°:
two_theta, I_rel
24.09, 11
32.06, 100
42.38, 55
49.35, 5
54.11, 22
61.50, 27
67.03, 3
71.04, 29
77.51, 7
86.38, 6

[5]
# Nd2Sm2Ga
Calculated XRD peak list, a wavelength of 1.5418 Å. Input: a PBE-relaxed structure.
No peak broadening, texture or thermal motion is included.

Structural model:
```
10
+++
The community of expertise in their business is customer centric, reigns humanity and hold high professionalism for their client’s needs. By being customer centric, Digni Financial Services’ trademark was known for high quality service over premiums and integrity over revenue. Today, the business is popularly known for its diverse services that it can’t be pinned to just a mere funeral policy business. It is of the drive to provide comprehensive financial services to human kind, with a vision to render services beyond funeral policies. It envisions expanding its scope into primary care, hospital plan, medical aid, disability benefits and provident fund.
Here the text breaks off for crystal structures
********
This entry pairs a crystal structure of AcNbP with its simulated powder XRD pattern. Radiation: Cu Kα X-rays. Structure: a crystal structure in Alexandria, relaxed with GGA-PBE.
Intensities are scaled so that the largest is 100.

Crystal structure
```
data_AcNbP
_symmetry_space_group_name_H-M 'P 1'
_symmetry_Int_Tables_number 1
_cell_length_a 4.332
_cell_length_b 4.332
_cell_length_c 4.618
_cell_angle_alpha 90.00
_cell_angle_beta 90.00
_cell_angle_gamma 120.00
loop_
_symmetry_equiv_pos_as_xyz
'x,y,z'
loop_
_atom_site_label
_atom_site_type_symbol
_atom_site_fract_x
_atom_site_fract_y
_atom_site_fract_z
_atom_site_occupancy
Ac1 Ac 0.000 0.000 0.000 1
Nb1 Nb 0.667 0.333 0.500 1
P1 P 0.333 0.667 0.500 1
```

Top 10 peaks for 10 to 90 degrees two-theta, low angle first:
h k l	2θ (°)	I/Imax
1 0 0	23.72	30.6
1 0 1	30.71	100.0
0 0 2	39.01	12.6
1 1 0	41.70	31.3
1 0 2	46.17	11.3
2 0 1	52.67	22.3
1 1 2	58.43	23.3
1 0 3	65.56	11.6
2 1 1	69.33	19.7
3 0 2	89.04	7.6

This entry pairs a crystal structure of NdDyMg2 with its simulated powder XRD pattern. Radiation: Cu Kα X-rays. Structure: a crystal structure in Alexandria, relaxed with GGA-PBE.
Intensities are scaled so that the largest is 100.

Crystal structure
```
data_NdDyMg2
_symmetry_space_group_name_H-M 'P 1'
_symmetry_Int_Tables_number 1
_cell_length_a 3.826
_cell_length_b 3.826
_cell_length_c 7.728
_cell_angle_alpha 90.00
_cell_angle_beta 90.00
_cell_angle_gamma 90.00
loop_
_symmetry_equiv_pos_as_xyz
'x,y,z'
loop_
_atom_site_label
_atom_site_type_symbol
_atom_site_fract_x
_atom_site_fract_y
_atom_site_fract_z
_atom_site_occupancy
Nd1 Nd 0.000 0.000 0.000 1
Dy1 Dy 0.000 0.000 0.500 1
Mg1 Mg 0.500 0.500 0.259 1
Mg2 Mg 0.500 0.500 0.741 1
```

Top 10 peaks for 10 to 90 degrees two-theta, low angle first:
h k l	2θ (°)	I/Imax
0 0 2	23.02	31.1
1 0 0	23.25	60.6
1 0 2	32.94	100.0
1 1 0	33.11	49.4
1 1 2	40.71	28.5
2 0 0	47.53	17.9
1 0 4	53.10	13.4
1 1 4	58.72	18.9
2 1 2	59.04	37.3
3 1 0	79.11	15.8

This entry pairs a crystal structure of Sc3GeC with its simulated powder XRD pattern. Radiation: Cu Kα X-rays. Structure: a crystal structure in Alexandria, relaxed with GGA-PBE.
Intensities are scaled so that the largest is 100.

Crystal structure
```
data_Sc3GeC
_symmetry_space_group_name_H-M 'P 1'
_symmetry_Int_Tables_number 1
_cell_length_a 3.351
_cell_length_b 4.501
_cell_length_c 6.113
_cell_angle_alpha 90.00
_cell_angle_beta 101.75
_cell_angle_gamma 90.00
loop_
_symmetry_equiv_pos_as_xyz
'x,y,z'
loop_
_atom_site_label
_atom_site_type_symbol
_atom_site_fract_x
_atom_site_fract_y
_atom_site_fract_z
_atom_site_occupancy
Sc1 Sc 0.000 0.000 0.000 1
Sc2 Sc 0.194 0.000 0.509 1
Sc3 Sc 0.597 0.500 0.254 1
Ge1 Ge 0.599 0.500 0.754 1
C1 C 0.597 0.000 0.254 1
```

Top 10 peaks for 10 to 90 degrees two-theta, low angle first:
h k l	2θ (°)	I/Imax
1 1 0	33.81	100.0
0 1 2	36.04	97.1
1 0 -2	36.28	51.5
1 1 1	39.37	17.0
0 2 0	40.07	43.4
1 0 2	44.97	25.3
1 2 -2	55.15	27.9
1 2 2	61.78	18.3
1 1 -4	66.51	13.1
0 3 2	70.17	13.2
********
Here the text continues
The company aims to render dignified funeral and health care financial services. It also seeks to specialise in satisfactory funeral product offering for clients. It also offers accommodative products to working class, pensioners & Africans in general as it aims to develop administration indoor systems for its clients.
1.
Computed XRD peak list of Ho2O3 for Cu Kα, 1.54184 Å, from DFT lattice parameters and positions (GGA-PBE).
Peak positions follow from Bragg's law for the DFT cell and can differ from measured ones.

Crystal structure
a b c (Å): 10.6106 10.6106 10.6106
angles (deg): 90.00 90.00 90.00
Space group Ia-3 (No. 206)
One atom of each set of equivalent atoms:
Ho (0.0000, 0.2500, 0.4673) x24
Ho (0.2500, 0.2500, 0.2500) x8
O (0.1089, 0.1516, 0.6204) x48

Largest 12 diffraction maxima, low angle first, 2θ = 10–90°:
- 2θ = 20.50°, I = 10
- 2θ = 29.15°, I = 100
- 2θ = 33.79°, I = 35
- 2θ = 35.91°, I = 6
- 2θ = 43.49°, I = 8
- 2θ = 48.54°, I = 38
- 2θ = 53.22°, I = 5
- 2θ = 57.62°, I = 32
- 2θ = 59.05°, I = 6
- 2θ = 60.45°, I = 7
- 2θ = 78.60°, I = 9
- 2θ = 81.06°, I = 7

2.
Computed XRD peak list of Ho2O3 for Cu Kα, 1.54184 Å, from DFT lattice parameters and positions (GGA-PBE).
Peak positions follow from Bragg's law for the DFT cell and can differ from measured ones.

Crystal structure
a b c (Å): 14.0057 3.4840 8.6143
angles (deg): 90.00 100.38 90.00
Space group C2/m (No. 12)
One atom of each set of equivalent atoms:
Ho (0.0321, 0.0000, 0.3139) x4
Ho (0.1350, 0.5000, 0.9880) x4
Ho (0.1915, 0.5000, 0.6372) x4
O (0.0000, 0.5000, 0.5000) x2
O (0.0292, 0.5000, 0.1570) x4
O (0.1278, 0.0000, 0.7817) x4
O (0.1746, 0.0000, 0.4695) x4
O (0.2064, 0.0000, 0.1229) x4

Largest 12 diffraction maxima, low angle first, 2θ = 10–90°:
- 2θ = 28.89°, I = 89
- 2θ = 29.71°, I = 95
- 2θ = 30.35°, I = 99
- 2θ = 31.68°, I = 63
- 2θ = 32.25°, I = 98
- 2θ = 33.18°, I = 100
- 2θ = 43.14°, I = 51
- 2θ = 48.42°, I = 60
- 2θ = 52.53°, I = 31
- 2θ = 54.53°, I = 40
- 2θ = 56.41°, I = 52
- 2θ = 80.34°, I = 29

3.
Computed XRD peak list of HoO for Cu Kα, 1.54184 Å, from DFT lattice parameters and positions (GGA-PBE).
Peak positions follow from Bragg's law for the DFT cell and can differ from measured ones.

Crystal structure
a b c (Å): 3.9704 3.9704 4.8209
angles (deg): 90.00 90.00 120.00
Space group P6_3/mmc (No. 194)
One atom of each set of equivalent atoms:
Ho (0.3333, 0.6667, 0.2500) x2
O (0.3333, 0.6667, 0.7500) x2

Largest 12 diffraction maxima, low angle first, 2θ = 10–90°:
- 2θ = 25.91°, I = 44
- 2θ = 31.97°, I = 100
- 2θ = 37.30°, I = 22
- 2θ = 45.70°, I = 37
- 2θ = 45.98°, I = 18
- 2θ = 56.86°, I = 21
- 2θ = 60.41°, I = 32
- 2θ = 63.95°, I = 15
- 2θ = 75.81°, I = 18
- 2θ = 82.09°, I = 7
- 2θ = 84.54°, I = 6
- 2θ = 84.74°, I = 6

4.
Computed XRD peak list of HoO3 for Cu Kα, 1.54184 Å, from DFT lattice parameters and positions (GGA-PBE).
Peak positions follow from Bragg's law for the DFT cell and can differ from measured ones.

Crystal structure
a b c (Å): 6.4879 6.4879 3.4024
angles (deg): 90.00 90.00 120.00
Space group P6_3/m (No. 176)
One atom of each set of equivalent atoms:
Ho (0.3333, 0.6667, 0.2500) x2
O (0.0580, 0.4245, 0.7500) x6

Largest 12 diffraction maxima, low angle first, 2θ = 10–90°:
- 2θ = 15.77°, I = 100
- 2θ = 27.50°, I = 63
- 2θ = 30.72°, I = 78
Its objectives include building a client base, working with clients in a fashion preferred by the client, be it on-site, remotely or a combination of both, to progressively build eternity revenues that will maximise its market share and footprint globally, develop products and systems that will make its clients distinct in the market and to build a client base through selling its products and underwrite client’s products as they are and further customise its products to suit its client’s vision.